Work order:
It remains to transcribe every line below that contains the word "SC".
Listing:
(A)
{
  "formula": "C5H10N2S",
  "method": "wB97M-V/def2-TZVPD",
  "gap_ev": 9.7037,
  "e_homo_ev": -8.90,
  "smiles": "[H]/N=C/NCC(=C)SC",
  "species": ["H", "N", "C", "N", "C", "C", "C", "S", "C", "H", "H", "H", "H", "H", "H", "H", "H", "H"],
  "coordinates": [[-3.96, -0.33, 0.91], [-3.23, 0.32, 0.97], [-2.14, -0.33, 1.06], [-0.95, 0.36, 1.20], [0.24, -0.38, 0.88], [0.54, -0.51, -0.62], [0.53, -1.70, -1.23], [0.63, 0.95, -1.62], [2.04, 1.72, -0.89], [-2.11, -1.42, 1.12], [-0.97, 1.19, 0.61], [0.26, -1.35, 1.37], [1.04, 0.19, 1.35], [0.73, -1.80, -2.30], [0.37, -2.59, -0.64], [2.90, 1.05, -0.90], [2.28, 2.63, -1.44], [1.80, 1.98, 0.16]]
}

(B)
{
  "formula": "C5H10N2S",
  "method": "wB97M-V/def2-TZVPD",
  "gap_ev": 9.1767,
  "e_homo_ev": -8.66,
  "species": ["C", "C", "C", "C", "C", "H", "H", "H", "H", "H", "H", "H", "H", "H", "H", "N", "N", "S"],
  "coordinates": [[2.49, 0.64, -0.53], [1.44, -0.02, 0.34], [0.82, -1.40, -0.32], [-0.87, 1.14, 0.22], [0.34, 0.76, 1.01], [3.77, -0.13, -0.15], [2.16, 0.54, -1.85], [2.51, 1.80, -0.10], [1.97, -0.60, 1.18], [1.18, -2.53, 0.07], [0.81, -1.55, -1.45], [-1.73, -0.01, -1.34], [-2.12, 2.37, -0.76], [0.84, 1.77, 1.24], [-0.02, 0.23, 1.77], [-1.41, 0.05, -0.29], [-1.20, 2.28, -0.34], [-1.02, -1.56, 0.09]]
}

(C)
{
  "formula": "C5H10N2S",
  "method": "wB97M-V/def2-TZVPD",
  "gap_ev": 8.5142,
  "e_homo_ev": -8.31,
  "smiles": "CC1(C)CN=[N+]([S-])C1",
  "species": ["C", "C", "C", "C", "N", "N", "S", "C", "H", "H", "H", "H", "H", "H", "H", "H", "H", "H"],
  "coordinates": [[-1.37, 0.50, 1.08], [-0.33, -0.05, 0.00], [-0.77, 0.25, -1.46], [-0.03, -1.47, 0.15], [1.74, -1.46, 0.12], [2.03, -0.25, 0.07], [3.51, 0.50, -0.07], [0.94, 0.65, 0.27], [-2.22, -0.22, 1.14], [-1.63, 1.44, 0.81], [-0.96, 0.56, 2.08], [-1.67, -0.37, -1.83], [0.16, -0.01, -2.05], [-1.08, 1.36, -1.55], [-0.30, -1.92, 1.21], [-0.10, -2.07, -0.80], [0.94, 1.52, -0.40], [1.12, 1.04, 1.22]]
}

Stability check: which of them is most stable? (A).

(A)
{
  "formula": "H8O3S2",
  "method": "wB97M-V/def2-TZVPD",
  "gap_ev": 8.9448,
  "e_homo_ev": -9.14,
  "smiles": "SS.O.O.O",
  "species": ["S", "S", "H", "H", "O", "H", "H", "O", "H", "H", "O", "H", "H"],
  "coordinates": [[-4.54, -0.06, -1.90], [-2.98, 0.63, -0.62], [-5.15, 1.11, -2.13], [-2.24, -0.21, -1.38], [4.56, 2.91, -2.37], [3.77, 3.42, -2.60], [4.61, 2.85, -1.42], [2.41, -0.85, 3.67], [1.71, -1.25, 3.15], [2.29, -1.42, 4.44], [-1.23, -2.50, 0.21], [-1.95, -3.05, 0.50], [-1.27, -1.57, 0.45]]
}

(B)
{
  "formula": "H8O3S2",
  "method": "wB97M-V/def2-TZVPD",
  "gap_ev": 8.6608,
  "e_homo_ev": -8.77,
  "smiles": "SS.O.O.O",
  "species": ["S", "S", "H", "H", "O", "H", "H", "O", "H", "H", "O", "H", "H"],
  "coordinates": [[-1.02, -1.20, -0.53], [-2.66, 0.24, -0.43], [-1.88, -2.32, -0.61], [-1.71, 1.18, -0.59], [4.78, 1.82, -0.24], [4.61, 2.59, 0.30], [3.96, 1.33, -0.33], [2.01, 0.33, -2.31], [1.07, 0.21, -2.47], [2.45, -0.05, -3.08], [-0.39, -0.42, 4.20], [-0.92, -1.14, 4.57], [0.43, -0.61, 4.69]]
}

Stability check: which of them is most stable? (B).

(A)
{
  "formula": "H8O3S2",
  "method": "wB97M-V/def2-TZVPD",
  "gap_ev": 9.0174,
  "e_homo_ev": -8.95,
  "smiles": "SS.O.O.O",
  "species": ["S", "S", "H", "H", "O", "H", "H", "O", "H", "H", "O", "H", "H"],
  "coordinates": [[0.40, 1.71, 1.20], [-1.66, 1.31, 1.56], [0.12, 2.96, 0.81], [-1.90, 2.50, 2.12], [2.55, -4.71, -2.53], [1.90, -4.01, -2.50], [3.28, -4.30, -3.00], [-1.05, 0.88, -2.13], [-0.58, 1.26, -1.37], [-0.36, 0.34, -2.54], [0.54, -1.56, -0.08], [0.45, -2.33, -0.64], [1.43, -1.61, 0.29]]
}

(B)
{
  "formula": "H8O3S2",
  "method": "wB97M-V/def2-TZVPD",
  "gap_ev": 9.1073,
  "e_homo_ev": -9.07,
  "smiles": "SS.O.O.O",
  "species": ["S", "S", "H", "H", "O", "H", "H", "O", "H", "H", "O", "H", "H"],
Reply:
  "smiles": "[H]/N=C/NCC(=C)SC",